Saturday, November 15, 2008

- Anatomy and histology of eye lids.

- Eye lid :
  • It is movable muco-cutaneous fold covering anterior surface of eye globe.
  • Upper eye lid is more movable than lower eye lid as it have levator palpebrae superioris muscle and Muller's muscle .
  • The upper eyelid skin crease (superior palpebral furrow) is approximately 8-11 mm superior to the eyelid margin and is formed by the attachment of the superficial insertion of  levator aponeurotic fibers  (8-9 mm in men and 9-11 mm in women).
-The palpebral fissure is that empty space between the upper and  lower eyelid margins when the eyelids are open (that is, the space between the eyelids that allows you to see  your eyeball and your eyeball to see the world).

Sunday, November 9, 2008

- Development of eye lids.

Development of eye lids

Time :

Begins during 6th week.


1- Eye lids develop from two folds of skins over the

cornea during 6th week.

2- Eye lids adhere to each other by the beginning of 10th week

& remain adhered till 26th to 28th weeks.

Congenital anomalies:

usually congenital anomalies appear together

to give a syndrome.

1-congenital ptosis:-

cause: failure of development of levator palpebrea

superioris muscle.

- It may be simple( alone).

- It may be associated eith other lid deformities or

congenital opthalmoplegia.

- it is usually bilateral & hereditary.

2- Epicanthus:

- is a semilunar skin fold at the side of the nose

covering the medial canthus & the caruncle leading

to false convergent squint.

3- Telecanthus:

increased distance () two
medial canthi.


-Diminution of the horizontal width of the palpebral

fissure from 25-30 mm (normal) to 18-22mm without

pathologic changes in the eyelids.

- It is rare & usually asscociated in

Blepharo-phimosis syndrome.

5-Blepharo-phimosis syndrome:

presence of congenital ptosis,Epicanthus,

elecanthus & Blepharo-phimosis with each other.

6- Congenital trichiasis ( distichiasis)

- rare condition.

- In which abnormal extra raw of lashes replacing white line.

7- Congenital entropion:

- rare with micropthalmos.

8- Congenital ectropion:

- rare with Blepharo-phimosis syndrome.

9- coloboma of the eye lids:

- It is triangular , quadrilateral or

irregular shaped defect of the lid margin.

10- Epiblepharon:

-horizontal redundant medial fold of skin of the

eye lid inducing vertical orientation of the cilia.

-Epiblepharon may co exist with entropion.

-It usually imrpoves by age as the eyelid skin stretches.

Thursday, November 6, 2008

- Vision.

- Vision: - is a complex sense composed of many elements including:-

Perception of image on retina.-

-Conduction of the image as nerve impulse to brain.

- Interpretation & recognition of the image by brain.

- Organ of Vision: - is the eye.

- Eye is formed of: -

-Eyeball which located inside the orbit.

-Extra ocular structures surrounding it

(eyelids – Conjunctiva - lacrimal apparatus - Extra ocular muscles)

N.B… nerve of vision is :-

optic nerve which is the second (2nd) cranial nerve.

N.B… Ocular muscles 2:-

1- Extra ocular muscles:-

-Levator Palpebrae Superioris.

~~~
ThTe2I2 (PBE, relaxed); calculated formation energy = -1.18 eV per atom; E (MP2020) = -45.25 eV/cell; density = 5.66 g/cm³; DFT total energy = -4.373 eV per atom; symmetry = C2/m, No. 12
1.0
-4.5764 6.8289 -0.4022
-3.1880 -7.4851 1.2448
-1.8855 0.7213 7.8579
Th I Te
2 4 4
Cartesian
-5.3209 5.1457 3.7619
-4.3290 -5.0807 4.9386
-3.4827 3.3850 5.6889
-6.1671 -3.3199 3.0116
-6.7492 2.6806 2.3212
-2.9007 -2.6155 6.3794
-6.3442 0.0022 5.3676
-1.2614 0.0476 1.4772
-8.3884 0.0175 7.2233
-3.3056 0.0629 3.3329

TiI3 (PBE, relaxed); calculated formation energy = -1.08 eV per atom; E (MP2020) = -33.61 eV/cell; density = 4.27 g/cm³; DFT total energy = -3.917 eV per atom; symmetry = P6_3/mcm, No. 193
1.0
3.8723 -6.7069 0.0000
3.8723 6.7069 0.0000
0.0000 0.0000 6.4196
Ti I
2 6
Cartesian
0.0000 0.0000 3.2098
0.0000 0.0000 0.0000
2.2915 0.0000 4.8147
2.7265 -4.7225 4.8147
1.1457 -1.9845 1.6049
5.4530 0.0000 1.6049
2.7265 4.7225 4.8147
1.1457 1.9845 1.6049

TiI2 (PBE, relaxed); calculated formation energy = -0.86 eV per atom; E (MP2020) = -13.53 eV/cell; density = 5.10 g/cm³; DFT total energy = -4.258 eV per atom; symmetry = P-3m1, No. 164
1.0
-0.4808 0.7410 -3.7580
-2.7480 0.9807 2.5278
3.2805 6.8121 0.9234
Ti I
1 2
Cartesian
0.0000 0.0000 0.0000
-1.2329 2.4777 0.6463
1.2846 6.0561 -0.9531

TiI (PBE, relaxed); calculated formation energy = -0.08 eV per atom; E (MP2020) = -19.16 eV/cell; density = 5.69 g/cm³; DFT total energy = -4.600 eV per atom; symmetry = P6_3mc, No. 186
1.0
1.7814 -3.0855 0.0000
1.7814 3.0855 0.0000
0.0000 0.0000 9.2759
I Ti
2 2
Cartesian
1.7814 1.0285 0.3411
1.7814 -1.0285 4.9790
1.7814 1.0285 3.1374
1.7814 -1.0285 7.7753

TiI3 (PBE, relaxed); calculated formation energy = -1.09 eV per atom; E (MP2020) = -67.29 eV/cell; density = 4.36 g/cm³; DFT total energy = -3.922 eV per atom; symmetry = Pmmn, No. 59
1.0
6.4771 0.0000 0.0000
0.0000 7.6394 0.0000
0.0000 0.0000 13.1962
I Ti
12 4
Cartesian
0.0000 4.5655 2.0283
3.2385 3.0739 8.6264
3.2385 7.2069 6.5981
3.2385 3.4954 0.0000
0.0000 0.7907 8.5218
3.2385 3.0739 4.5698
0.0000 0.7907 4.6744
0.0000 4.5655 11.1679
0.0000 0.4326 0.0000
3.2385 6.8487 11.2725
3.2385 6.8487 1.9237
0.0000 4.1441 6.5981
1.7905 1.9055 6.5981
5.0290 5.7339 0.0000
4.6866 1.9055 6.5981
1.4481 5.7339 0.0000

TlI (PBE, relaxed); calculated formation energy = -0.87 eV per atom; excess energy over the best structure of this formula in the dataset = 0 meV/atom; E (MP2020) = -5.63 eV/cell; density = 6.05 g/cm³; DFT total energy = -2.624 eV per atom; symmetry = Fm-3m, No. 225
1.0
-3.5691 -3.5691 0.0000
-3.5691 0.0000 -3.5691
0.0000 -3.5691 -3.5691
I Tl
1 1
Cartesian
-3.5691 -3.5691 -3.5691
0.0000 0.0000 0.0000

TlI (PBE, relaxed); calculated formation energy = -0.85 eV per atom; excess energy over the best structure of this formula in the dataset = 23 meV/atom; E (MP2020) = -11.16 eV/cell; density = 6.55 g/cm³; DFT total energy = -2.601 eV per atom; symmetry = Cmcm, No. 63
1.0
-4.2989 0.2647 -5.6284
0.2736 -2.5731 6.5980
~~~
== So much for the materials data ==

Four recti :-
  • Lat. Rectus
  • Med. Rectus.
  • Sup. Rectus.
  • Inf. Rectus.
- Inf. Oblique.

- Sup. Oblique

2- Intra ocular muscles:-

- ciliary muscle.

- Sphincter pupillae muscle.

- Dilator pupillae muscle.

Saturday, November 1, 2008

- Dietary Protein.

Dietary Protein

Chemistery :-

Proteins are made of strings of amino acids that form chains known as peptides.
Proteins differ by the types and order of amino acids they contain. Even though there are only 20 amino acids, they create almost endless variations in chains as long as 500 links.

site of synthesis:-

Proteins form inside animals (including humans) and plants through processes that synthesize peptides. For humans, we cannot synthesize certain "essential protein," and so we must ingest them through food. These essential proteins are made of phenylalanine, threonine, methionine, tryptophan, leucine, isoleucine, lysine, and valine amino acids.

Functions pf proteins:-
Our bodies need dietary protein to accomplish many basic functions, such as:-
1- building bones.
2- moving muscles.
3- repairing tissue.
4- a catalyst in metabolism.
5- They're involved in the nervous system function.
6- bringing energy to cells.

Dietary protein, an essential nutrient, comes from meat, dairy, and certain grains and beans.

Food from plants, like corn, have incomplete protein, which means they do not contain all the necessary amino acids. Only food from animals, such as cheese and fish, provide complete protein, and don't need to be combined with other protein sources.

Examples of complete protein foods are :-

milk, cheese, yogurt, butter, poultry, pork, or any meat. Incomplete proteins include oats, wheat, pasta, lentils, nuts, rice, soy, pears, and seeds. Eating a combination of complementary protein sources, such as grains mixed with legumes, results in a diet of essential protein. This is how vegetarians and vegans maintain health without eating meat or dairy.

Dietary requirements:-
vary from 40-70 gm of protein per day.

1- Too much protein might deplete calcium,
2- while too little causes a form of malnutrition called kwashiorkor. Insufficient protein weakens the heart and other muscles, eventually leading to death.
3- Incidentally, proteins are responsible for most food allergies.

With my best wishes



- what is ophthalmology?

The medicine and surgery of the eye and
its surrounding structures and its connections

to the brain, in order to maintain clear
, pain-free and useful vision
with an aesthetic attractive appearance.